Job =
What is needed: search the lines further down for the word "on" and reproduce each line that has it.
Listing =
=====
No. 1
AcZn2Pt8: calculated powder diffraction line list (Cu Kα (weighted mean of Kα1 and Kα2)), based on DFT lattice parameters and positions (GGA-PBE).
Kinematic intensities with the Lorentz-polarization factor, no thermal factor.

The 10 most intense peaks (2θ = 15–90°), by angle:
| (hkl) | two_theta | Rel. int. |
| --- | --- | --- |
| 0 0 2 | 20.40 | 47 |
| 0 0 3 | 30.80 | 15 |
| 2 0 0 | 33.93 | 34 |
| 2 0 2 | 39.91 | 100 |
| 2 0 3 | 46.47 | 14 |
| 2 2 0 | 48.74 | 33 |
| 2 2 2 | 53.36 | 15 |
| 2 0 5 | 64.03 | 16 |
| 2 2 4 | 65.87 | 14 |
| 4 2 2 | 85.06 | 23 |

Crystal structure
```
data_AcZn2Pt8
_space_group_name_H-M_alt 'P 4/m m m'
_space_group_IT_number 123
_space_group_name_Hall '-P 4 2'
_cell_length_a 5.285
_cell_length_b 5.285
_cell_length_c 8.709
_cell_angle_alpha 90.00
_cell_angle_beta 90.00
_cell_angle_gamma 90.00
loop_
_atom_site_label
_atom_site_fract_x
_atom_site_fract_y
_atom_site_fract_z
Ac1 0.000 0.000 0.000
Zn1 0.000 0.500 0.500
Pt1 0.253 0.253 0.283
```

***

No. 2
Ac3ZnPt8: calculated powder diffraction line list (Cu Kα (weighted mean of Kα1 and Kα2)), based on DFT lattice parameters and positions (GGA-PBE).
Kinematic intensities with the Lorentz-polarization factor, no thermal factor.

The 10 most intense peaks (2θ = 15–90°), by angle:
| (hkl) | two_theta | Rel. int. |
| --- | --- | --- |
| 1 1 0 | 31.94 | 18 |
| 0 1 8 | 32.06 | 13 |
| 2 0 2 | 37.68 | 100 |
| 1 0 10 | 37.80 | 30 |
| 0 2 4 | 39.41 | 44 |
| 0 0 12 | 39.61 | 14 |
| 3 0 6 | 60.74 | 22 |
| 2 1 10 | 60.83 | 15 |
| 2 2 0 | 66.76 | 21 |
| 0 2 16 | 67.04 | 15 |

Crystal structure
```
data_Ac3ZnPt8
_space_group_name_H-M_alt 'R 3 m'
_space_group_IT_number 160
_space_group_name_Hall 'R 3 -2"'
_cell_length_a 5.6044
_cell_length_b 5.6044
_cell_length_c 27.3060
_cell_angle_alpha 90.00
_cell_angle_beta 90.00
_cell_angle_gamma 120.00
loop_
_atom_site_label
_atom_site_fract_x
_atom_site_fract_y
_atom_site_fract_z
=====
Worked solution =
AcZn2Pt8: calculated powder diffraction line list (Cu Kα (weighted mean of Kα1 and Kα2)), based on DFT lattice parameters and positions (GGA-PBE).
Ac3ZnPt8: calculated powder diffraction line list (Cu Kα (weighted mean of Kα1 and Kα2)), based on DFT lattice parameters and positions (GGA-PBE).